Work order:
Copy the material underneath exactly.

Material:
+++
<1>
# C3H8S2

A cluster of 2 separate species, C3H8S2 in total (wB97M-V/def2-TZVPD, the OMol25 dataset).

ORCA input file:
```
! RIJCOSX wB97M-V def2-TZVPD def2/J DEFGRID3
* xyz 0 1
C -0.10 -1.50 0.56
C -0.29 0.14 0.27
C 0.57 0.25 -0.94
H -0.14 -1.83 2.08
H 1.01 -1.63 0.29
H -1.06 -2.00 -0.11
H 0.24 0.72 1.16
H -2.43 1.95 0.40
H -0.14 -0.13 -1.80
H 1.55 -0.33 -1.56
H 1.93 1.78 0.33
S -2.16 0.43 0.16
S 1.04 2.15 -0.84
*
```

Results
E_HOMO, eV: -9.123

=====

<2>
# C3H8S2

A cluster of 2 separate species, C3H8S2 in total (wB97M-V/def2-TZVPD, the OMol25 dataset).

ORCA input file:
```
! RIJCOSX wB97M-V def2-TZVPD def2/J DEFGRID3
* xyz 0 1
C 1.21 -1.60 -1.06
C 2.29 -1.56 -0.22
H 0.22 -1.45 -0.78
H 1.23 -1.79 -2.18
H 2.29 -0.95 0.71
H 3.23 -1.95 -0.48
C -1.12 0.55 0.25
S -2.61 0.91 1.11
S -2.61 3.00 1.51
H -0.49 -0.06 0.96
H -1.53 0.09 -0.63
H -0.49 1.42 0.24
H -1.63 3.40 0.59
*
```

Results
E_HOMO, eV: -8.162
SMILES: C=C.CSS

=====

It is <2> that is most stable; the runner-up trails by 80.7 kcal/mol.

=====

<1>
# C3H8S2

An isolated molecule of C3H8S2 (wB97M-V/def2-TZVPD, the OMol25 dataset).

ORCA input file:
```
! RIJCOSX wB97M-V def2-TZVPD def2/J DEFGRID3
* xyz 0 1
C -1.32 1.75 -0.47
C -0.51 0.95 -1.47
S 0.98 0.26 -0.64
S 0.30 -1.55 0.21
C 1.41 -2.09 1.67
H -0.93 2.73 -0.23
H -2.35 1.89 -0.78
H -1.20 1.20 0.47
H -0.05 1.56 -2.26
H -1.07 0.13 -1.92
H 1.67 -3.11 1.38
H 0.76 -2.22 2.55
H 2.31 -1.50 1.50
*
```

Results
E_HOMO, eV: -7.794
SMILES: CCSSC

=====

<2>
# C3H8S2

A cluster of 2 separate species, C3H8S2 in total (wB97M-V/def2-TZVPD, the OMol25 dataset).

ORCA input file:
```
! RIJCOSX wB97M-V def2-TZVPD def2/J DEFGRID3
* xyz 0 1
C 0.01 -0.20 1.70
C 0.85 -0.85 -1.06
C -0.18 0.74 0.62
S 0.29 -0.43 -2.62
S -1.73 1.04 -0.08
H -0.94 -0.81 1.91
H 0.91 -0.86 1.30
H 0.42 0.35 2.58
H 1.96 -0.76 -0.98
H 0.42 -1.76 -0.70
H 0.49 1.52 0.53
H -1.02 -0.21 -2.59
H -1.46 2.24 -0.61
*
```

Results
E_HOMO (alpha / beta), eV: -7.386 / -7.037

=====

It is <1> that is most stable; the runner-up trails by 67.8 kcal/mol.

=====

<1>
# C24H18CrN3O4S4

A structure of composition C24H18CrN3O4S4 (wB97M-V/def2-TZVPD, the OMol25 dataset).

ORCA input file:
```
! RIJCOSX wB97M-V def2-TZVPD def2/J DEFGRID3
* xyz -1 5
Cr 1.62 0.65 0.84
S 2.90 0.98 -1.15
C 2.66 -0.32 -2.32
C 3.80 -1.03 -2.74
C 3.75 -2.00 -3.71
C 2.54 -2.31 -4.32
C 1.40 -1.63 -3.93
C 1.45 -0.66 -2.93
S -0.10 0.08 -2.45
C -0.87 -1.38 -1.71
C -1.98 -1.04 -0.76
C -2.99 -1.99 -0.54
C -3.92 -1.75 0.46
C -3.82 -0.59 1.20
C -2.81 0.34 0.89
C -2.68 1.53 1.63
S 0.25 0.19 2.72
C -0.05 -1.53 2.61
C -1.01 -2.13 3.43
C -1.25 -3.50 3.36
C -0.53 -4.29 2.48
C 0.42 -3.70 1.66
C 0.67 -2.33 1.71
S 1.86 -1.62 0.63
N -1.91 0.10 -0.10
H 4.74 -0.78 -2.26
H 4.65 -2.52 -4.00
H 2.48 -3.07 -5.10
H 0.45 -1.85 -4.40
H -0.08 -1.86 -1.12
H -1.22 -2.08 -2.47
H -3.01 -2.89 -1.13
H -4.70 -2.48 0.67
H -4.51 -0.38 2.01
H -3.33 1.70 2.48
H -1.89 2.23 1.42
H -1.57 -1.51 4.12
H -2.00 -3.94 4.01
H -0.71 -5.36 2.42
H 0.99 -4.31 0.96
O 0.56 6.87 -0.42
C 0.67 6.06 0.68
O 0.82 6.54 1.76
C 0.50 4.62 0.38
C -0.47 4.08 -0.46
N -0.35 2.75 -0.40
N 0.66 2.40 0.39
C 1.19 3.50 0.90
C 2.43 3.24 1.72
O 3.06 4.15 2.21
O 2.70 1.97 1.78
H 0.64 6.32 -1.22
H -1.25 4.55 -1.03
H -0.86 1.99 -0.85
*
```

Results
⟨S²⟩: 6.095
E_HOMO (alpha / beta), eV: -4.572 / -4.777

=====

<2>
# C24H18CrN3O4S4

A structure of composition C24H18CrN3O4S4 (wB97M-V/def2-TZVPD, the OMol25 dataset).

ORCA input file:
```
! RIJCOSX wB97M-V def2-TZVPD def2/J DEFGRID3
* xyz -1 5
Cr 0.44 -0.60 0.01
S -0.36 -2.49 -1.19
C -1.38 -1.65 -2.34
C -1.72 -2.30 -3.54
C -2.51 -1.71 -4.50
C -3.02 -0.42 -4.30
C -2.72 0.23 -3.12
C -1.91 -0.36 -2.16
S -1.62 0.50 -0.63
C -0.77 2.04 -1.13
C 0.29 2.38 -0.11
C 0.77 3.67 -0.04
C 1.86 3.93 0.79
C 2.35 2.94 1.59
C 1.74 1.66 1.59
C 2.10 0.67 2.51
S 2.64 -1.32 0.71
C 3.63 -0.16 -0.16
C 4.91 0.16 0.31
C 5.71 1.08 -0.34
C 5.23 1.71 -1.48
C 3.96 1.41 -1.96
C 3.15 0.47 -1.32
S 1.58 0.04 -1.98
N 0.77 1.39 0.66
H -1.31 -3.29 -3.70
H -2.74 -2.24 -5.42
+++

Solution:
<1>
# C3H8S2

A cluster of 2 separate species, C3H8S2 in total (wB97M-V/def2-TZVPD, the OMol25 dataset).

ORCA input file:
```
! RIJCOSX wB97M-V def2-TZVPD def2/J DEFGRID3
* xyz 0 1
C -0.10 -1.50 0.56
C -0.29 0.14 0.27
C 0.57 0.25 -0.94
H -0.14 -1.83 2.08
H 1.01 -1.63 0.29
H -1.06 -2.00 -0.11
H 0.24 0.72 1.16
H -2.43 1.95 0.40
H -0.14 -0.13 -1.80
H 1.55 -0.33 -1.56
H 1.93 1.78 0.33
S -2.16 0.43 0.16
S 1.04 2.15 -0.84
*
```

Results
E_HOMO, eV: -9.123

=====

<2>
# C3H8S2

A cluster of 2 separate species, C3H8S2 in total (wB97M-V/def2-TZVPD, the OMol25 dataset).

ORCA input file:
```
! RIJCOSX wB97M-V def2-TZVPD def2/J DEFGRID3
* xyz 0 1
C 1.21 -1.60 -1.06
C 2.29 -1.56 -0.22
H 0.22 -1.45 -0.78
H 1.23 -1.79 -2.18
H 2.29 -0.95 0.71
H 3.23 -1.95 -0.48
C -1.12 0.55 0.25
S -2.61 0.91 1.11
S -2.61 3.00 1.51
H -0.49 -0.06 0.96
H -1.53 0.09 -0.63
H -0.49 1.42 0.24
H -1.63 3.40 0.59
*
```

Results
E_HOMO, eV: -8.162
SMILES: C=C.CSS

=====

It is <2> that is most stable; the runner-up trails by 80.7 kcal/mol.

=====

<1>
# C3H8S2

An isolated molecule of C3H8S2 (wB97M-V/def2-TZVPD, the OMol25 dataset).

ORCA input file:
```
! RIJCOSX wB97M-V def2-TZVPD def2/J DEFGRID3
* xyz 0 1
C -1.32 1.75 -0.47
C -0.51 0.95 -1.47
S 0.98 0.26 -0.64
S 0.30 -1.55 0.21
C 1.41 -2.09 1.67
H -0.93 2.73 -0.23
H -2.35 1.89 -0.78
H -1.20 1.20 0.47
H -0.05 1.56 -2.26
H -1.07 0.13 -1.92
H 1.67 -3.11 1.38
H 0.76 -2.22 2.55
H 2.31 -1.50 1.50
*
```

Results
E_HOMO, eV: -7.794
SMILES: CCSSC

=====

<2>
# C3H8S2

A cluster of 2 separate species, C3H8S2 in total (wB97M-V/def2-TZVPD, the OMol25 dataset).

ORCA input file:
```
! RIJCOSX wB97M-V def2-TZVPD def2/J DEFGRID3
* xyz 0 1
C 0.01 -0.20 1.70
C 0.85 -0.85 -1.06
C -0.18 0.74 0.62
S 0.29 -0.43 -2.62
S -1.73 1.04 -0.08
H -0.94 -0.81 1.91
H 0.91 -0.86 1.30
H 0.42 0.35 2.58
H 1.96 -0.76 -0.98
H 0.42 -1.76 -0.70
H 0.49 1.52 0.53
H -1.02 -0.21 -2.59
H -1.46 2.24 -0.61
*
```

Results
E_HOMO (alpha / beta), eV: -7.386 / -7.037

=====

It is <1> that is most stable; the runner-up trails by 67.8 kcal/mol.

=====

<1>
# C24H18CrN3O4S4

A structure of composition C24H18CrN3O4S4 (wB97M-V/def2-TZVPD, the OMol25 dataset).

ORCA input file:
```
! RIJCOSX wB97M-V def2-TZVPD def2/J DEFGRID3
* xyz -1 5
Cr 1.62 0.65 0.84
S 2.90 0.98 -1.15
C 2.66 -0.32 -2.32
C 3.80 -1.03 -2.74
C 3.75 -2.00 -3.71
C 2.54 -2.31 -4.32
C 1.40 -1.63 -3.93
C 1.45 -0.66 -2.93
S -0.10 0.08 -2.45
C -0.87 -1.38 -1.71
C -1.98 -1.04 -0.76
C -2.99 -1.99 -0.54
C -3.92 -1.75 0.46
C -3.82 -0.59 1.20
C -2.81 0.34 0.89
C -2.68 1.53 1.63
S 0.25 0.19 2.72
C -0.05 -1.53 2.61
C -1.01 -2.13 3.43
C -1.25 -3.50 3.36
C -0.53 -4.29 2.48
C 0.42 -3.70 1.66
C 0.67 -2.33 1.71
S 1.86 -1.62 0.63
N -1.91 0.10 -0.10
H 4.74 -0.78 -2.26
H 4.65 -2.52 -4.00
H 2.48 -3.07 -5.10
H 0.45 -1.85 -4.40
H -0.08 -1.86 -1.12
H -1.22 -2.08 -2.47
H -3.01 -2.89 -1.13
H -4.70 -2.48 0.67
H -4.51 -0.38 2.01
H -3.33 1.70 2.48
H -1.89 2.23 1.42
H -1.57 -1.51 4.12
H -2.00 -3.94 4.01
H -0.71 -5.36 2.42
H 0.99 -4.31 0.96
O 0.56 6.87 -0.42
C 0.67 6.06 0.68
O 0.82 6.54 1.76
C 0.50 4.62 0.38
C -0.47 4.08 -0.46
N -0.35 2.75 -0.40
N 0.66 2.40 0.39
C 1.19 3.50 0.90
C 2.43 3.24 1.72
O 3.06 4.15 2.21
O 2.70 1.97 1.78
H 0.64 6.32 -1.22
H -1.25 4.55 -1.03
H -0.86 1.99 -0.85
*
```

Results
⟨S²⟩: 6.095
E_HOMO (alpha / beta), eV: -4.572 / -4.777

=====

<2>
# C24H18CrN3O4S4

A structure of composition C24H18CrN3O4S4 (wB97M-V/def2-TZVPD, the OMol25 dataset).

ORCA input file:
```
! RIJCOSX wB97M-V def2-TZVPD def2/J DEFGRID3
* xyz -1 5
Cr 0.44 -0.60 0.01
S -0.36 -2.49 -1.19
C -1.38 -1.65 -2.34
C -1.72 -2.30 -3.54
C -2.51 -1.71 -4.50
C -3.02 -0.42 -4.30
C -2.72 0.23 -3.12
C -1.91 -0.36 -2.16
S -1.62 0.50 -0.63
C -0.77 2.04 -1.13
C 0.29 2.38 -0.11
C 0.77 3.67 -0.04
C 1.86 3.93 0.79
C 2.35 2.94 1.59
C 1.74 1.66 1.59
C 2.10 0.67 2.51
S 2.64 -1.32 0.71
C 3.63 -0.16 -0.16
C 4.91 0.16 0.31
C 5.71 1.08 -0.34
C 5.23 1.71 -1.48
C 3.96 1.41 -1.96
C 3.15 0.47 -1.32
S 1.58 0.04 -1.98
N 0.77 1.39 0.66
H -1.31 -3.29 -3.70
H -2.74 -2.24 -5.42